By: Terresa Monroe-Hamilton
_These records of crystals were left in the text by mistake_
~~~
No. 1
# LaRuS2N meta-GGA SCAN PBEsol geometry
# Energy relative to the elements, uncorrected ... -0.990 eV per atom
# Magnetization ... 0.00 μB per cell
data_LaRuS2N
_chemical_formula_sum 'La1 Ru1 S2 N1'
_space_group_name_H-M_alt 'P 4/m m m'
_space_group_IT_number 123
_space_group_name_Hall '-P 4 2'
_cell_length_a 4.825
_cell_length_b 4.825
_cell_length_c 3.701
_cell_angle_alpha 90.00
_cell_angle_beta 90.00
_cell_angle_gamma 90.00
loop_
_atom_site_label
_atom_site_type_symbol
_atom_site_fract_x
_atom_site_fract_y
_atom_site_fract_z
La1 La 0.000 0.000 0.000
Ru1 Ru 0.500 0.500 0.500
S1 S 0.000 0.500 0.500
N1 N 0.500 0.500 0.000

No. 2
# LaSb2RuN meta-GGA SCAN PBEsol geometry
# Energy relative to the elements, uncorrected ... 1.306 eV per atom
# Magnetization ... 2.60 μB per cell
data_LaSb2RuN
_chemical_formula_sum 'La1 Sb2 Ru1 N1'
_space_group_name_H-M_alt 'P 4/m m m'
_space_group_IT_number 123
_space_group_name_Hall '-P 4 2'
_cell_length_a 5.957
_cell_length_b 5.957
_cell_length_c 3.909
_cell_angle_alpha 90.00
_cell_angle_beta 90.00
_cell_angle_gamma 90.00
loop_
_atom_site_label
_atom_site_type_symbol
_atom_site_fract_x
_atom_site_fract_y
_atom_site_fract_z
La1 La 0.000 0.000 0.000
Sb1 Sb 0.000 0.500 0.000
Ru1 Ru 0.500 0.500 0.500
N1 N 0.000 0.000 0.500

No. 3
# La4S3N2 meta-GGA SCAN PBEsol geometry
# Energy relative to the elements, uncorrected ... -2.236 eV per atom
# Magnetization ... 0.00 μB per cell
data_La4S3N2
_chemical_formula_sum 'La8 S6 N4'
_space_group_name_H-M_alt 'P n n m'
_space_group_IT_number 58
_cell_length_a 6.464
_cell_length_b 15.528
_cell_length_c 4.064
_cell_angle_alpha 90.00
_cell_angle_beta 90.00
_cell_angle_gamma 90.00
loop_
_space_group_symop_operation_xyz
'x,y,z'
'-x,-y,-z'
'-x,-y,z'
'x,y,-z'
'x+1/2,-y+1/2,-z+1/2'
'-x+1/2,y+1/2,z+1/2'
'-x+1/2,y+1/2,-z+1/2'
'x+1/2,-y+1/2,z+1/2'
loop_
_atom_site_label
_atom_site_type_symbol
_atom_site_fract_x
_atom_site_fract_y
_atom_site_fract_z
La1 La 0.224 0.066 0.000
La2 La 0.236 0.843 0.500
S1 S 0.000 0.500 0.000
S2 S 0.223 0.200 0.500
N1 N 0.132 0.916 0.000

No. 4
# La3S3N meta-GGA SCAN PBEsol geometry
# Energy relative to the elements, uncorrected ... -2.356 eV per atom
# Magnetization ... 0.00 μB per cell
data_La3S3N
_chemical_formula_sum 'La12 S12 N4'
_space_group_name_H-M_alt 'P n m a'
_space_group_IT_number 62
_cell_length_a 11.930
_cell_length_b 4.148
_cell_length_c 13.004
_cell_angle_alpha 90.00
_cell_angle_beta 90.00
_cell_angle_gamma 90.00
loop_
_space_group_symop_operation_xyz
'x,y,z'
'-x,-y,-z'
'-x+1/2,-y,z+1/2'
'x+1/2,y,-z+1/2'
'x+1/2,-y+1/2,-z+1/2'
'-x+1/2,y+1/2,z+1/2'
'-x,y+1/2,-z'
'x,-y+1/2,z'
loop_
_atom_site_label
_atom_site_type_symbol
_atom_site_fract_x
_atom_site_fract_y
_atom_site_fract_z
La1 La 0.031 0.250 0.154
La2 La 0.100 0.250 0.623
La3 La 0.234 0.250 0.872
S1 S 0.068 0.250 0.392
S2 S 0.149 0.750 0.006
S3 S 0.235 0.750 0.709
N1 N 0.057 0.250 0.799

No. 5
# LaSnSN2 meta-GGA SCAN PBEsol geometry
~~~
_The text goes on_
Cross-Posted at Right Wing News
Because there’s just no better way to show who’s boss than scaring the living crap out of a bunch of elderly tourists from numerous countries. What a bunch of fascist asshats:
Vaillancourt was one of thousands of people who found themselves in a national park as the federal government shutdown went into effect on Oct. 1. For many hours her tour group, which included senior citizen visitors from Japan, Australia, Canada and the United States, were locked in a Yellowstone National Park hotel under armed guard.
The tourists were treated harshly by armed park employees, she said, so much so that some of the foreign tourists with limited English skills thought they were under arrest.
When finally allowed to leave, the bus was not allowed to halt at all along the 2.5-hour trip out of the park, not even to stop at private bathrooms that were open along the route.
“We’ve become a country of fear, guns and control,” said Vaillancourt, who grew up in Lawrence. “It was like they brought out the armed forces. Nobody was saying, ‘we’re sorry,’ it was all like — ” as she clenched her fist and banged it against her forearm.
Four dozen senior citizen tourists were on a 9 day tour (as opposed to a 3 hour tour for Gilligan’s Island, which would have been far preferable I imagine) of western parks and monuments. The fun ended suddenly when they arrived at Yellowstone Park and the Shutdown descended with Obama’s thuggish bureaucrats at the ready:
--- i ---
First-principles (PBE-GGA) data for a relaxed structure of CaAg2H, as listed in Alexandria.

Unit cell a=5.9766 b=5.9766 c=8.5892 alpha=90.00 beta=90.00 gamma=90.00
With the nearest neighbours (Å) after each atom.
Space group I-42d (No. 122)
Unique sites:
Ca  0.0000  0.0000  0.0000  12 Ag 3.50-3.55, 4 H 3.68, 4 Ca 3.68
Ag  0.0015  0.7500  0.6250  2 H 1.84
H  0.0000  0.0000  0.5000  4 Ag 1.84

Summary:
calculated volume: 306.80 Å³ per cell
DOS(E_F): 1.0 states/eV/f.u.

=====

--- ii ---
First-principles (PBE-GGA) data for a relaxed structure of CaAg2H, as listed in Alexandria.

Unit cell a=6.8232 b=6.8232 c=6.8232 alpha=90.00 beta=90.00 gamma=90.00
With the nearest neighbours (Å) after each atom.
Space group Fm-3m (No. 225)
Unique sites:
Ca  0.0000  0.0000  0.0000  8 Ag 2.95
Ag  0.2500  0.2500  0.2500  4 H 2.95, 4 Ca 2.95
H  0.0000  0.0000  0.5000  8 Ag 2.95

Summary:
calculated volume: 317.66 Å³ per cell
DOS(E_F): 1.5 states/eV/f.u.

=====

Compare the structures above. Which one is the least stable? ii is.

=====

A plane-wave DFT calculation with PBE was carried out for a geometry-optimized Nd3CuNi3 structure.

```
data_Nd3CuNi3
_cell_length_a 4.202
_cell_length_b 10.103
_cell_length_c 13.255
_cell_angle_alpha 90.00
_cell_angle_beta 90.00
_cell_angle_gamma 90.00
_symmetry_space_group_name_H-M 'C m c m'
_symmetry_Int_Tables_number 63
_symmetry_space_group_name_Hall '-C 2c 2'
loop_
_atom_site_label
_atom_site_fract_x
_atom_site_fract_y
_atom_site_fract_z
Nd1 0.000 0.006 0.250
Nd2 0.000 0.288 0.103
Cu1 0.000 0.000 0.000
Ni1 0.000 0.290 0.750
Ni2 0.000 0.426 0.587
```

Properties
ΔH_f (0 K): -0.299 eV per atom
Density of states at the Fermi level: 19.71 states/eV/cell

=====

Entry 1:
Density functional theory data (GGA-PBE) for a geometry-optimized TbPm2ErSc structure.

Unit cell a=6.991 b=6.991 c=7.147 alpha=90.00 beta=90.00 gamma=108.26
Fractional positions:
Tb: 0.229 0.771 0.750
Tb: 0.771 0.229 0.250
Pm: 0.199 0.199 0.000
Pm: 0.199 0.199 0.500
Pm: 0.801 0.801 0.000
Pm: 0.801 0.801 0.500
Er: 0.238 0.762 0.250
Er: 0.762 0.238 0.750
Sc: 0.492 0.508 0.750
Sc: 0.508 0.492 0.250

Computed properties:
Total magnetic moment   0.0000 μB/atom
DFT formation energy   0.3694 eV/atom

Entry 2:
Density functional theory data (GGA-PBE) for a geometry-optimized TaBe3Rh structure.

Unit cell a=4.296 b=4.296 c=4.296 alpha=90.00 beta=90.00 gamma=90.00
Fractional positions:
Ta: 0.000 0.000 0.000
Be: 0.000 0.000 0.500
Be: 0.000 0.500 0.000
Be: 0.500 0.000 0.000
Rh: 0.500 0.500 0.500

Computed properties:
Total magnetic moment   0.0000 μB/atom
Energy above the lowest structure with this stoichiometry   1.381 eV/atom
DFT formation energy   1.7350 eV/atom

Entry 3:
Density functional theory data (GGA-PBE) for a geometry-optimized Rb2PtIBr6 structure.
== So much for the data records ==
Rangers systematically sent visitors out of the park, though some groups that had hotel reservations — such as Vaillancourt’s — were allowed to stay for two days. Those two days started out on a sour note, she said.
The bus stopped along a road when a large herd of bison passed nearby, and seniors filed out to take photos. Almost immediately, an armed ranger came by and ordered them to get back in, saying they couldn’t “recreate.” The tour guide, who had paid a $300 fee the day before to bring the group into the park, argued that the seniors weren’t “recreating,” just taking photos.
“She responded and said, ‘Sir, you are recreating,’ and her tone became very aggressive,” Vaillancourt said.
The seniors quickly filed back onboard and the bus went to the Old Faithful Inn, the park’s premier lodge located adjacent to the park’s most famous site, Old Faithful geyser. That was as close as they could get to the famous site — barricades were erected around Old Faithful, and the seniors were locked inside the hotel, where armed rangers stayed at the door.
“They looked like Hulk Hogans, armed. They told us you can’t go outside,” she said. “Some of the Asians who were on the tour said, ‘Oh my God, are we under arrest?’ They felt like they were criminals.”
I’m sure to these good people visiting our country, they worried that a communist coup had ensued when they weren’t looking and that the State police were arresting them. Well, that’s pretty much what is going on. And for a country already in the grip of an Obama Depression, this will just hasten an already bankrupt country into the economic abyss. Cloward and Piven has arrived at Barack Obama’s usherance and with much gleeful anticipation on his Marxist part.
As the bus made its 2.5-hour journey out of Yellowstone, the tour guide made arrangements to stop at a full-service bathroom at an in-park dude ranch he had done business with in the past. Though the bus had its own small bathroom, Vaillancourt said seniors were looking for a more comfortable place to stop. But no stop was made — Vaillancourt said the dude ranch had been warned that its license to operate would be revoked if it allowed the bus to stop. So the bus continued on to Livingston, Mont., a gateway city to the park.
The bus trip made headlines in Livingston, where the local newspaper Livingston Enterprise interviewed the tour guide, Gordon Hodgson, who accused the park service of “Gestapo tactics.”
“The national parks belong to the people,” he told the Enterprise. “This isn’t right.”
Calls to Yellowstone’s communications office were not returned, as most of the personnel have been furloughed.
Many of the foreign visitors were shocked and dismayed by what had happened and how they were treated, Vaillancourt said.
“A lot of people who were foreign said they wouldn’t come back (to America),” she said.
The National Parks’ aggressive actions have spawned significant criticism in western states. Governors in park-rich states such as Arizona have been thwarted in their efforts to fund partial reopenings of parks. The Washington Times quoted an unnamed Park Service official who said park law enforcement personnel were instructed to “make life as difficult for people as we can. It’s disgusting.”
-- begin --
A relaxed structure of SrIN2O. Source: Alexandria, functional GGA-PBE.

a b c (Å): 5.130 5.130 4.918
angles (deg): 90.00 90.00 90.00
Site moments in Bohr magnetons follow the coordinates.
Fractional coordinates of all 5 atoms:
1 I 0.500 0.500 0.500  -0.10
2 N 0.000 0.500 0.000  1.57
3 N 0.500 0.000 0.000  1.57
4 Sr 0.000 0.000 0.000  0.06
5 O 0.000 0.000 0.500  -0.90

As for the total energy: -3.65 eV/atom. The density of states at the Fermi level comes out at 5.3 states/eV/cell. The formation energy without anion corrections is 1.31 eV per atom.

A relaxed structure of CaMgTaIn2. Source: Alexandria, functional GGA-PBE.

a b c (Å): 5.464 5.520 5.464
angles (deg): 90.00 90.00 90.00
Site moments in Bohr magnetons follow the coordinates.
Fractional coordinates of all 5 atoms:
1 Ca 0.000 0.500 0.000  0.08
2 In 0.000 0.000 0.500  0.03
3 In 0.500 0.000 0.000  -0.01
4 Ta 0.000 0.000 0.000  0.53
5 Mg 0.500 0.500 0.500  0.01

As for the total energy: -3.41 eV/atom. The calculation puts the formation energy at 779 meV/atom. The density of states at the Fermi level comes out at 5.5 states/eV/cell.

A relaxed structure of Tl2In12Hg7. Source: Alexandria, functional GGA-PBE.

a b c (Å): 4.253 12.613 12.613
angles (deg): 120.00 90.00 90.00
Fractional coordinates of all 21 atoms:
1 In 0.794 0.065 0.438
2 In 0.787 0.251 0.150
3 In 0.206 0.627 0.065
4 In 0.794 0.562 0.627
5 In 0.206 0.438 0.373
6 In 0.787 0.850 0.101
7 In 0.206 0.935 0.562
8 In 0.787 0.899 0.749
9 In 0.213 0.150 0.899
10 In 0.213 0.101 0.251
11 In 0.794 0.373 0.935
12 In 0.213 0.749 0.850
13 Hg 0.335 0.436 0.139
14 Hg 0.665 0.564 0.861
15 Hg 0.500 0.000 0.000
16 Hg 0.335 0.702 0.564
17 Hg 0.335 0.861 0.298
18 Hg 0.665 0.298 0.436
19 Hg 0.665 0.139 0.702
20 Tl 0.799 0.667 0.333
21 Tl 0.201 0.333 0.667

As for the total energy: -1.87 eV/atom. The calculation puts the formation energy at 20 meV/atom. The density of states at the Fermi level comes out at 8.3 states/eV/cell.

A relaxed structure of Tb2CePr6Tm. Source: Alexandria, functional GGA-PBE.

a b c (Å): 8.898 7.141 6.703
angles (deg): 122.19 101.57 90.00
Site moments in Bohr magnetons follow the coordinates.
Fractional coordinates of all 10 atoms:
1 Pr 0.205 0.595 0.656  0.01
2 Pr 0.583 0.374 0.749  0.01
3 Pr 0.417 0.626 0.251  0.01
4 Pr 0.795 0.405 0.344  0.01
5 Pr 0.205 0.061 0.656  0.01
6 Pr 0.795 0.939 0.344  0.01
7 Tm 0.500 0.000 0.000  -0.02
8 Tb 0.165 0.092 0.184  0.02
9 Tb 0.835 0.908 0.816  0.02
10 Ce 0.000 0.500 0.000  0.79

As for the total energy: -4.60 eV/atom. The calculation puts the formation energy at 230 meV/atom. The density of states at the Fermi level comes out at 21.7 states/eV/cell.

A relaxed structure of Na3VCd. Source: Alexandria, functional GGA-PBE.

a b c (Å): 5.638 5.638 5.638
angles (deg): 90.00 90.00 90.00
Site moments in Bohr magnetons follow the coordinates.
Fractional coordinates of all 5 atoms:
1 Na 0.000 0.500 0.000  0.00
2 Na 0.500 0.000 0.000  0.00
3 Na 0.000 0.000 0.500  0.00
4 V 0.500 0.500 0.500  3.21
-- stop --
And so it goes from nudge, to shove and very soon, to shoot. Surely Americans now see they are living under the iron fist of a dictator. They are using lands and monuments that belong to America against us – held hostage as wards of the State, not property of the free. What makes Americans think that with the government in control of healthcare that they won’t use the same tactics? Comply or no antibiotics for you… submit or no chemotherapy… kneel or no transplant. And even then, only those who we deem young enough, correct enough or wealthy and powerful enough will receive the benefits of the all-controlling Marxist State. America has become Russia’s protege thanks to the enemies within.
I can think of several charges to be filed, false imprisonment, kidnapping, making terroristic threats, just for starters.